Terms and Rules II Professor Evan Korth New York University (All rights reserved)
## Attached: calculated molecules
<<<
Here is C3H7NO in the gas phase from the OMol25 dataset. Energies are from the ωB97M-V functional and the def2-TZVPD basis.

Structure (XYZ):
```
12
Properties=species:S:1:pos:R:3:forces:R:3:lowdin_charge:R:1
O 1.8085 0.5160 -1.2539 -0.189 1.453 -0.327 0.025
N 0.0178 0.9923 0.0684 1.446 1.541 -1.841 -0.056
C -1.1300 0.7721 0.8347 -2.463 -2.997 2.466 -0.167
C 0.6361 -1.3158 -0.5973 -0.860 -1.947 1.060 -0.050
C 0.7995 0.1607 -0.6735 1.192 -1.054 0.612 -0.610
H 1.1600 -1.6698 0.4651 -1.362 0.692 -2.941 0.146
H -1.0826 1.6073 1.6268 -0.892 -1.501 -1.106 0.091
H 1.1801 -1.7164 -1.5448 -1.052 0.356 2.076 0.110
H -0.4933 -1.5938 -0.5728 2.014 0.018 -0.026 0.085
H 0.3425 1.9624 -0.0654 -0.447 -0.747 0.253 0.153
H -0.9949 -0.3734 1.4629 -0.522 3.539 -1.738 0.145
H -2.2436 0.6584 0.2498 3.134 0.646 1.512 0.128
```
Positions in Å, forces in eV/Å.

Output
Max |F| (eV/A): 4.60
Energy above the lowest of the compared OMol25 structures with the same formula, charge and spin (kcal per mole): 48.3
Lowest unoccupied orbital energy (eV): 0.8
SMILES string: CNC(C)=O
Kohn-Sham gap (eV): 10.378
2S+1: 1
DFT total energy (eV): -6760.6565
E_HOMO (hartree): -0.353

=====

Record 1
{
  "formula": "C20H24FN3O3S2",
  "method": "ωB97M-V/def2-TZVPD",
  "elements": ["C", "C", "C", "C", "C", "N", "C", "H", "C", "H", "H", "C", "O", "C", "C", "H", "C", "H", "N", "C", "H", "F", "H", "H", "N", "C", "O", "H", "H", "H", "O", "S", "H", "C", "H", "C", "H", "C", "H", "C", "H", "H", "C", "H", "C", "C", "H", "H", "H", "H", "H", "H", "S"],
>>>
inheritance In object orientated programming, inheritance refers to the process by which one class automatically gets the members of another class without having to re-declare the members in the new class. Thus inheritance, fosters code reuse on a large scale. It also requires us to think about which members are shared between the classes we design. The keyword extends is used in Java for inheritance.
Inheritance (cont) A class that extends another class is said to be a subclass. It is also known as a child class or a derived class. The class it extends is called a superclass. Sometimes the superclass is called a base class or a parent class. So a subclass inherits the non-private members of it’s superclass. Typically, the subclass will also add members giving it more functionality and making it more specific than it’s superclass. A superclass can also modify its method members.
Keyword super The keyword super can be used in a subclass to refer to members of the subclass’ superclass. It is used in two ways: –To invoke a constructor of the superclass (more about this on the next slide). For example (note: the keyword new is not used): super (); super (params); –To call a superclass’ method (it is only necessary to do so when you override (more on overriding soon too) the method). For example: super.superclassMethodName(); super.superclassMethodName(params);
Inheritance and constructors Constructors do not get inherited to a subclass. Instead, the subclass’ constructor automatically calls it’s superclass’ default constructor before it executes any of the code in it’s own constructor. If you do not want to use the default constructor, you must explicitly invoke one of the superclass’ other constructors with the keyword super. –If you do this, the call to the superclass’ constructor must be the first line of code in the subclass’ constructor. If the superclass has no default constructor, the first line of any subclass constructor MUST explicitly invoke another superclass constructor.
Overriding methods Often a subclass does not want to have the same exact method implementations as it’s superclass. In this case, the subclass can override the methods that it wants to change. To override a method, you must re-declare the method in the subclass. The new method must have the exact same signature as the superclass’ method you are overriding. Only non-private methods can be overridden because private methods are not visible in the subclass. Note: You cannot override static methods. Note: You cannot override fields. In the above two cases, when you attempt to override them, you are really hiding them.
Object class In Java, all classes are derived from other classes except the object class which is the top of Java’s class hierarchy. Therefore, if a new class does not explicitly extend another class, it implicitly extends the object class. Several of the methods provided in the object class are provided with the intention that they will be overridden.
Object class: equals method public boolean equals (Object object) object’s equals method returns true if the objects are the same object (ie the two variables refer to the same position in memory) Since you can already check for that condition with the == operator, you are meant to override the equals method with one that will check to see if the objects have the same fields.
Object class: toString method public String toString () object’s toString method returns the name of the class of the object plus sign and a number representing the object. You should override toString to return a string that more closely represents the object. Whenever you print an object, the result of method toString is what will be printed.
Overload vs override Overloading a method refers to having two methods which share the same name but have different signatures. Overriding a method refers to having a new implementation of a method with the same signature in a subclass.
Visibility modifiers for data and methods (review) Public means the data / method is visible to everything. No modifier (default) means the data / method is visible in the package in which it is declared. Private means the data / method is visible only within the class in which it is defined. –Trying to access private data from another class will result in a compile time error.
Visibility modifiers for data and methods (cont) Protected means the data / method is visible: –In any class in the same package –In any of the class’ subclasses (even if the subclasses are in different packages) –Note: When a protected member is overridden, it’s visibility can be changed to public to allow greater access but not less access (less access is called weaker access privileges in Java terminology).
Visibility modifiers for data and methods (cont) private – only seen in class (UML -) default (no visibility modifier) – private access plus classes in the package (UML none) protected – default access plus subclasses (UML #) public – protected access plus everything else (UML +) Weakest access privieges Strongest access privieges
final modifier The many faces of the final modifier –When applied to a data field, final means the field is a constant. –When applied to a class, final means the class cannot be extended. –When applied to a method, the method cannot be overridden. –When applied to a variable that is local to a method, final means the variable is a constant.
Keyword abstract An abstract class is a class that cannot be instantiated. An abstract method is a method signature without an implementation. Any class that contains an abstract method must itself be abstract. However, an abstract class can contain both abstract and concrete methods. Any non-abstract sub-class of an abstract class must provide an implementation for every abstract method of it’s superclass. (UML italics)
NOTE An abstract method cannot be contained in a nonabstract class. If a subclass of an abstract superclass does not implement all the abstract methods, the subclass must be declared abstract. In other words, in a nonabstract subclass extended from an abstract class, all the abstract methods must be implemented, even if they are not used in the subclass.
NOTE A subclass can be abstract even if its superclass is concrete. For example, in the book, the Object class is concrete, but its subclasses, such as GeometricObject, may be abstract.
What comes next are records of molecules, not part of the entry:
____________
# 1
{
  "formula": "C30H35Cl54NO2",
  "method": "ωB97M-V/def2-TZVPD",
  "fmax_ha_per_bohr": 0.115,
  "homo_lumo_gap_ha": 0.338,
  "e_homo_ha": -0.3294,
  "symbols": ["C", "C", "C", "C", "C", "C", "O", "O", "C", "C", "C", "C", "C", "C", "N", "H", "H", "H", "H", "H", "H", "H", "H", "H", "H", "H", "H", "H", "H", "H", "H", "H", "C", "Cl", "Cl", "Cl", "H", "C", "Cl", "Cl", "Cl", "H", "C", "Cl", "Cl", "Cl", "H", "C", "Cl", "Cl", "Cl", "H", "C", "Cl", "Cl", "Cl", "H", "C", "Cl", "Cl", "Cl", "H", "C", "Cl", "Cl", "Cl", "H", "C", "Cl", "Cl", "Cl", "H", "C", "Cl", "Cl", "Cl", "H", "C", "Cl", "Cl", "Cl", "H", "C", "Cl", "Cl", "Cl", "H", "C", "Cl", "Cl", "Cl", "H", "C", "Cl", "Cl", "Cl", "H", "C", "Cl", "Cl", "Cl", "H", "C", "Cl", "Cl", "Cl", "H", "C", "Cl", "Cl", "Cl", "H", "C", "Cl", "Cl", "Cl", "H", "C", "Cl", "Cl", "Cl", "H"],
____________
NOTE You cannot create an instance from an abstract class using the new operator, but an abstract class can be used as a data type. Therefore, the following statement, which creates an array whose elements are of GeometricObject type which is an abstract class, is correct (see book). GeometricObject[] geo = new GeometricObject[10];
polymorphism An object of a subclass can be used by any code designed to work with an object of its superclass. This feature is known as polymorphism (from a Greek word meaning “many forms”).
Dynamic binding The Java Virtual Machine can figure out which (possibly overloaded) method to use at run time. Dynamic binding allows us to use variables of superclasses which refer to objects of its various subclasses. When we use such a superclass variable in a method call, the JVM will choose the correct implementation of the method to use. –It starts with the “sub-most” class and works its way up until a method with the correct signature is found.
Choosing the method The compiler is responsible for choosing which method signature will be used for a given method call. It must make sure the method call’s parameter list matches a parameter list of one of the method declarations. The JVM is responsible for binding the method call to the proper implementation of the given method signature.
Casting objects Classes variables can refer to objects of related classes as long the object has an “is a” relationship to the class. Since subclasses have an ‘is-a’ relationship with their superclass, we can always point a superclass variable to a subclass object. In such case a casting operator is not necessary. You implicitly cast the object to it’s superclass just by using the gets operator in an assignment statement. For example: Superclass sup = new Subclass(); or Superclass sup = subclassVar;
Casting objects (cont) On the other hand, an object referenced by a superclass variable may or may not be a subclass object. To attempt an assignment such as: Subclass sub = superclassVar; You must explicitly cast the superclass object to the subclass type. For example: Subclass sub = (Subclass) supclVar; If the variable supclVar in the example above is not an instance of Subclass, a runtime error will occur.
Casting objects (cont) In order to help prevent the type of runtime error described in the last slide, Java has the keyword instanceof, which is used to test a variable to see if it is an instance of a class. For example: (supclVar instanceof Subclass) will evaluate to true if and only if supclVar is an instance of class Subclass. So we can test a variable to see if it is an instance of a class before we make an explicit cast. For example: if (supclVar instanceof Subclass) Subclass sub = (Subclass) supclVar; Will never cause a runtime error because the assignment will only happen in the event that supclVar is an instance of Subclass.
Interfaces In Java, only single inheritance is permitted. However, Java provides a construct called an interface which can be implemented by a class. Interfaces are similar to abstract classes (we will compare the two soon). A class can implement any number of interfaces. In effect using interfaces gives us the benefit of multiple inheritance without many of it’s problems. Interfaces are complied into bytecode just like classes. Interfaces cannot be instantiated. Can use interface as a data type for variables. Can also use an interface as the result of a cast operation. Interfaces can contain only abstract methods and constants.
Interfaces (cont) An interface is created with the following syntax: modifier interface interfaceID { //constants/method signatures }
public class Point extends Object implements Shape, Comparable {
Interfaces (cont) An interface can extend other interfaces with the following syntax: modifier interface interfaceID extends comma-delimited-list-of- interfaces { //constants/method signatures } Obviously, any class which implements a “sub- interface” will have to implement each of it’s “super-interfaces”
InterfaceAbstract class FieldsOnly constantsConstants and variable data MethodsNo implementation allowed (no abstract modifier necessary) Abstract or concrete Interface vs. abstract class
Interface vs. abstract class (cont) InterfaceAbstract class InheritanceA subclass can implement many interfaces A subclass can inherit only one class Can extend numerous interfaces Can implement numerous interfaces Cannot extend a class Can extend one class
Interface vs. abstract class (cont) InterfaceAbstract class Rootnoneobject namesAdjective or Nouns Nouns